-- begin --
# NaAcMnCl6 PBE relaxed
data_NaAcMnCl6
_chemical_formula_sum 'Na2 Ac2 Mn2 Cl12'
_symmetry_space_group_name_H-M 'P -3 1 c'
_symmetry_Int_Tables_number 163
_symmetry_space_group_name_Hall '-P 3 2c'
_cell_length_a 6.8364
_cell_length_b 6.8364
_cell_length_c 12.2799
_cell_angle_alpha 90.00
_cell_angle_beta 90.00
_cell_angle_gamma 120.00
loop_
_atom_site_label
_atom_site_type_symbol
_atom_site_fract_x
_atom_site_fract_y
_atom_site_fract_z
Na1 Na 0.0000 0.0000 0.0000
Ac1 Ac 0.3333 0.6667 0.2500
Mn1 Mn 0.3333 0.6667 0.7500
Cl1 Cl 0.0520 0.3748 0.6328
# - M_tot: 1.99 Bohr magnetons per cell
# - Energy relative to the elements, uncorrected: -1.567 eV/atom
# - Volume: 27.61 Å³/atom
# - DFT total energy: -79.57 eV/cell
# - Crystal system: trigonal
-- stop --

What is needed: give back the whole of the contents earlier on unchanged.

# NaAcMnCl6 PBE relaxed
data_NaAcMnCl6
_chemical_formula_sum 'Na2 Ac2 Mn2 Cl12'
_symmetry_space_group_name_H-M 'P -3 1 c'
_symmetry_Int_Tables_number 163
_symmetry_space_group_name_Hall '-P 3 2c'
_cell_length_a 6.8364
_cell_length_b 6.8364
_cell_length_c 12.2799
_cell_angle_alpha 90.00
_cell_angle_beta 90.00
_cell_angle_gamma 120.00
loop_
_atom_site_label
_atom_site_type_symbol
_atom_site_fract_x
_atom_site_fract_y
_atom_site_fract_z
Na1 Na 0.0000 0.0000 0.0000
Ac1 Ac 0.3333 0.6667 0.2500
Mn1 Mn 0.3333 0.6667 0.7500
Cl1 Cl 0.0520 0.3748 0.6328
# - M_tot: 1.99 Bohr magnetons per cell
# - Energy relative to the elements, uncorrected: -1.567 eV/atom
# - Volume: 27.61 Å³/atom
# - DFT total energy: -79.57 eV/cell
# - Crystal system: trigonal